Reading, Writing, and Math Skills for Preschoolers

How to make learning fun and help prepare your child for kindergarten.

Medically Reviewed by Laura J. Martin, MD on October 11, 2010
4 min read

When it comes to helping your preschool-aged child work on language and math skills, it’s best to find games and activities you both enjoy. This can lay the foundation for a positive attitude toward learning.

“My perspective is that whatever parents do to teach children this age, they need to make it playful and fun,” says Pamela High, MD, professor of pediatrics at The Warren Alpert Medical School of Brown University and director of the division of developmental-behavioral pediatrics at Rhode Island Hospital. “You don’t want children to turn off to it because it’s too difficult for them.”

High tells WebMD that a good preschool or other early education program can help your child learn basic language and math concepts, as well as skills like being able to share and get along with other children. “These social and emotional skills are just as important for school success,” she says.

But experts say that preschoolers (ages 3-5) also benefit a great deal from the informal learning experiences that parents can build into everyday interactions and routines. Here’s how you can foster your child’s interest in reading, writing, counting, and more.

You can prepare your child for reading and writing when you:

  • Read aloud to your child and discuss the characters, pictures, and events in the book. “Ask your child questions, such as: ‘What do you see in this picture?’ or ‘What do you think the bears will do next?’” says Kathy H. Barclay, EdD, professor of early childhood and reading in the department of curriculum and instruction at Western Illinois University.
  • Point out new words in books. For example, Barclay says that after you read: “She took a small nibble of the porridge,” you could say: “It says she took a small nibble. That means she took a really tiny bite of the porridge. Do you ever nibble your food?”
  • Sing songs and read books with rhymes and play rhyming games. “Rhyming patterns help children become aware of the individual sounds of language,” Barclay says.
  • Play with alphabet magnets and letter stamps so your child will start learning about letters. “Help your child learn to recognize the letters in her own name and in the names of family members and friends,” Barclay says.
  • Give your child crayons, pencils, markers, and paper and encourage her to scribble and draw. Eventually she’ll start trying to write letters. But don’t worry about whether she is forming letters correctly in these early stages, Barclay says. It’s more important that she develops motor skills and becomes comfortable with writing.

If you’d like to teach your child a second language, the preschool years are a great time to do it. “For most children, the earlier they’re exposed to other languages, they more fluent they’re likely to be as they get older,” High says.

One way to teach your child to be bilingual is to speak, sing, and read to them in both languages from the time they’re born. According to the American Speech-Language-Hearing Association, learning more than one language will not cause a child to develop speech or language problems.

To introduce your child to numbers and other math concepts, you can:

  • Count things out loud together. For instance, you can count how many carrots are on a plate or how many pennies you’re putting in a piggy bank. Juanita Copley, PhD, emeritus professor of curriculum and instruction at the University of Houston, suggests walking along a path and counting each line in the sidewalk.
  • Ask your child to point out the numbers he sees around him -- for example, while you’re riding in the car or shopping at the supermarket.
  • Encourage your child to build towers with blocks. “Discuss what they’re building using words like under, over, between, inside, outside, up, and down,” Copley says. This can help them learn about geometry.
  • Sort objects with your child by color, size, or shape. While you’re folding laundry, you can ask your child to sort the white socks into one pile and the blue socks into another pile. This teaches them to compare whether objects are the same or different.
  • Play a game with your child in which you try to toss six pom-poms into a hula hoop. Help him count how many of the pom-poms land inside the hoop and how many land outside. “Your child will see that numbers can be broken into parts and that leads to an understanding of basic addition,” Copley says.
  • Teach your child about measuring with cups and tablespoons while you cook. Ask them to help you count how many cups of flour you’re adding to the cookie batter.

Keep in mind that children develop their math and language skills at different rates. If you’re concerned about your child’s development, talk with your pediatrician.

**The entry is interrupted by crystal structures**
~~~
# 1
# Li2CoBO4 | Materials Project | PBE+U | relaxed
data_Li2CoBO4
_chemical_formula_sum 'Li8 Co4 B4 O16'
_cell_length_a 10.200
_cell_length_b 6.037
_cell_length_c 4.788
_cell_angle_alpha 90.00
_cell_angle_beta 90.00
_cell_angle_gamma 90.00
_symmetry_space_group_name_H-M 'P n a 21'
_symmetry_Int_Tables_number 33
_symmetry_space_group_name_Hall 'P 2c -2n'
loop_
_atom_site_label
_atom_site_fract_x
_atom_site_fract_y
_atom_site_fract_z
Li1 0.074 0.240 0.000
Li2 0.158 0.995 0.503
Co1 0.163 0.485 0.505
B1 0.092 0.739 0.008
O1 0.048 0.253 0.416
O2 0.097 0.731 0.318
O3 0.158 0.537 0.894
O4 0.159 0.947 0.914
# * crystal system: orthorhombic
# * energy: -6.307 eV per atom

# 2
# Li3CoB5O10 | Materials Project | PBE+U | relaxed
data_Li3CoB5O10
_chemical_formula_sum 'Li6 Co2 B10 O20'
_cell_length_a 6.947
_cell_length_b 7.097
_cell_length_c 9.377
_cell_angle_alpha 80.17
_cell_angle_beta 68.95
_cell_angle_gamma 61.83
_symmetry_space_group_name_H-M 'P -1'
_symmetry_Int_Tables_number 2
_symmetry_space_group_name_Hall '-P 1'
loop_
_atom_site_label
_atom_site_fract_x
_atom_site_fract_y
_atom_site_fract_z
Li1 0.020 0.193 0.464
Li2 0.184 0.008 0.837
Li3 0.241 0.493 0.249
Co1 0.214 0.523 0.884
B1 0.216 0.168 0.132
B2 0.256 0.284 0.603
B3 0.304 0.804 0.074
B4 0.363 0.750 0.568
B5 0.410 0.859 0.290
O1 0.047 0.306 0.622
O2 0.130 0.380 0.099
O3 0.219 0.740 0.706
O4 0.221 0.026 0.042
O5 0.270 0.694 0.995
O6 0.272 0.842 0.448
O7 0.306 0.089 0.250
O8 0.344 0.216 0.727
O9 0.400 0.318 0.460
O10 0.409 0.720 0.188
# * crystal system: triclinic
# * energy: -7.161 eV per atom

# 3
# Li2CoBO4 | Materials Project | PBE+U | relaxed
data_Li2CoBO4
_chemical_formula_sum 'Li8 Co4 B4 O16'
_cell_length_a 10.345
_cell_length_b 5.794
_cell_length_c 5.003
_cell_angle_alpha 90.00
_cell_angle_beta 90.00
_cell_angle_gamma 90.00
_symmetry_space_group_name_H-M 'P n m a'
_symmetry_Int_Tables_number 62
_symmetry_space_group_name_Hall '-P 2ac 2n'
loop_
_atom_site_label
_atom_site_fract_x
_atom_site_fract_y
_atom_site_fract_z
Li1 0.167 0.003 0.176
Co1 0.082 0.250 0.681
B1 0.085 0.750 0.665
O1 0.058 0.250 0.298
O2 0.100 0.750 0.369
O3 0.146 0.538 0.782
# * crystal system: orthorhombic
# * energy: -6.271 eV per atom

# 4
# Li3CoBO4 | Materials Project | PBE+U | relaxed
data_Li3CoBO4
_chemical_formula_sum 'Li48 Co16 B16 O64'
_cell_length_a 10.084
_cell_length_b 10.084
_cell_length_c 12.753
_cell_angle_alpha 90.00
_cell_angle_beta 90.00
_cell_angle_gamma 90.00
_symmetry_space_group_name_H-M 'I 41/a'
_symmetry_Int_Tables_number 88
loop_
_symmetry_equiv_pos_as_xyz
'x,y,z'
'-x,-y,-z'
'-y+3/4,x+1/4,z+1/4'
'y+3/4,-x+1/4,-z+1/4'
'-x+1/2,-y,z+1/2'
'x+1/2,y,-z+1/2'
'y+3/4,-x+3/4,z+3/4'
'-y+3/4,x+3/4,-z+3/4'
'x+1/2,y+1/2,z+1/2'
'-x+1/2,-y+1/2,-z+1/2'
'-y+1/4,x+3/4,z+3/4'
'y+1/4,-x+3/4,-z+3/4'
'-x,-y+1/2,z'
'x,y+1/2,-z'
'y+1/4,-x+1/4,z+1/4'
'-y+1/4,x+1/4,-z+1/4'
loop_
_atom_site_label
_atom_site_fract_x
_atom_site_fract_y
_atom_site_fract_z
Li1 0.008 0.100 0.054
Li2 0.021 0.124 0.334
Li3 0.023 0.409 0.563
~~~
**Here the entry continues**

It’s possible that a child who is struggling with language, for example, may have a hearing problem. Your pediatrician can evaluate whether your child may have physical or learning problem and, if necessary, refer you to a specialist.

If you find that your preschooler is drawn to one particular area, such as math, you can build on that by working on other skills at the same time. “If they’re interested in numbers, read a book together that has numbers in it,” High says.

You can also spark their curiosity by choosing books with their favorite characters and activities that allow them to show their talents. “You want to find your child’s particular strengths and gifts and give them the opportunity to demonstrate them,” High says. “That will feed their self-esteem and help them work on areas that may not come as easily to them.”